
Getting error “libobjc.A.dylib`objc_assign_strongCast_non_gc(objc_object*, objc_object**)”

我们两清 提交于 2019-12-24 22:19:44
问题 I have a huge set of data, those are displayed in a customized NSOutlineView . Sometime my app gets crashed and gives me this error, while running in Xcode: libobjc.A.dylib objc_assign_strongCast_non_gc(objc_object*, objc_object**)` Any idea about this one? Your replies would certainly help me to figure it out. EDIT: What I have tried so far: I have put all exception breakpoints and enabled NSZombieEnabled . But is never caught. I have use Binding to populate the NSOutlineView . The array

NSOutlineView spring load expanded item

拈花ヽ惹草 提交于 2019-12-24 21:23:40
问题 I have a subclass of NSOutlineView implementing the NSSpringLoadingDestination protocol. Everything works great. The only issue is when I try to drag an item over an already expanded item, spring loading never activates. The NSOutlineViewDelegateProtocol method outlineView(_:shouldExpandItem:) returns true. The method outlineView(_:validateDrop:proposedItem:proposedChildIndex:) returns a valid NSDragOperation. The expanded item becomes highlighted when I drag over it. And the

Change NSView background color when window has focus

<<<
Entry 1:
{"formula": "C22H21FN4O4", "method": "ωB97M-V/def2-TZVPD", "species": ["O", "C", "N", "H", "C", "C", "C", "C", "C", "O", "H", "H", "H", "H", "H", "C", "N", "C", "O", "C", "H", "C", "C", "O", "N", "C", "N", "C", "C", "C", "C", "H", "H", "H", "H", "H", "H", "H", "H", "C", "C", "C", "C", "C", "C", "H", "H", "H", "F", "H", "H", "H"], "positions_angstrom": [[-2.80123, -3.31162, -0.28442], [-1.59083, -3.25935, -0.25934], [-0.84958, -3.04970, 0.84081], [0.15545, -2.94937, 0.73217], [-1.43159, -2.69179, 2.12035], [-1.00781, -1.32153, 2.53404], [0.08665, -0.88602, 3.22421], [-0.01862, 0.52442, 3.28361], [-1.16252, 0.83796, 2.61779], [-1.76295, -0.26858, 2.16038], [-1.63883, 1.77533, 2.41297], [0.66118, 1.20129, 3.75931], [0.86338, -1.49269, 3.64311], [-1.11885, -3.41849, 2.87693], [-2.51692, -2.72871, 1.99478], [-0.72821, -3.44520, -1.51865], [-0.14923, -2.17736, -1.94530], [1.01797, -1.77586, -1.39414], [1.55170, -2.41489, -0.49785], [1.69985, -0.57215, -2.01707], [2.35832, -0.95850, -2.79979], [2.52459, 0.16769, -0.96647], [1.64841, 1.09319, -0.13716], [0.46170, 1.23332, -0.32510], [2.35755, 1.76434, 0.81507], [1.91961, 2.75153, 1.69211], [2.80279, 3.03498, 2.64360], [2.49663, 3.96849, 3.52776], [1.30388, 4.67087, 3.50912], [0.39323, 4.38188, 2.50170], [0.69591, 3.40821, 1.56887], [0.01994, 3.15368, 0.77164], [-0.54413, 4.91501, 2.44161], [1.09539, 5.42279, 4.25318], [3.25053, 4.15431, 4.28142], [3.31627, 1.49024, 0.98822], [2.99730, -0.56523, -0.30760], [3.30519, 0.76625, -1.44016], [0.97570, 0.10020, -2.47240], [-0.96321, -1.38484, -2.79628], [-1.53306, -0.21130, -2.31744], [-2.35550, 0.50976, -3.16279], [-2.63628, 0.09573, -4.45317], [-2.06468, -1.07871, -4.90986], [-1.23108, -1.81812, -4.08962], [-0.78260, -2.73115, -4.45092], [-2.26990, -1.41912, -5.91296], [-3.29041, 0.68487, -5.07557], [-2.90643, 1.65251, -2.71499], [-1.33047, 0.14482, -1.31941], [0.08669, -4.14260, -1.30778], [-1.36087, -3.83077, -2.31852]], "homo_ev": -8.358, "smiles": "O=C(CN(C(=O)CCC(=O)Nc1ccccn1)c1cccc(F)c1)NCc1ccco1", "gap_ha": 0.3323, "spin_multiplicity": 1}

=====

Entry 2:
>>>

ε祈祈猫儿з 提交于 2019-12-24 00:39:51
问题 I have noticed when an apps window contains an Outline view (such as XCode) it changes color when that window is in focus. With XCode for example, if the window is current then the outline view has a blueish background, if it looses focus it goes grey, Can anyone help me to replicate this? I presume its something to do with drawRect: but can only manage to get the color to change when the window loads. Maybe its a built in function and I'm just missing something? 回答1: All you have to do in

Drag and drop from within a NSOutlineView

孤人 提交于 2019-12-22 04:35:23
问题 I'm trying to figure out how to implement drag and drop from within a NSOutlineView to itself. For example, I want the user to be able to reorder and nest and re-nest the items in the NSOutlineView, but I don't need to be able to drag items from any other source (like files or from another view). All the examples I can find deal with dragging item into the NSOutlineView, not just within itself and seem overly complex. I assume this is possible. Can someone point be to some docs that deal with

Next to the entry, the page also holds molecular data:
........
The following is a DFT calculation (ωB97M-V/def2-TZVPD) of a 17-piece molecular cluster, C68H187N17O17 overall in a non-equilibrium geometry.

Last column: Löwdin spin population.
Geometry (Å):
C: 4.58980 1.55792 2.81612  0.00
C: 5.66895 2.62086 2.93363  0.00
C: 6.64808 2.39488 4.06485  0.00
O: 6.03648 2.62275 5.33887  0.00
C: 6.75784 2.22474 6.43612  0.00
N: 6.32458 2.75616 1.64389  0.00
H: 4.06798 1.60022 3.77216  0.00
H: 4.95044 0.54574 2.63299  0.00
H: 3.91087 1.80269 1.99927  0.00
H: 5.10749 3.53148 3.14248  0.00
H: 7.46674 3.08950 3.87671  0.00
H: 7.16974 1.44754 3.92882  0.00
H: 7.10342 1.19412 6.35554  0.00
H: 6.11734 2.20951 7.31796  0.00
H: 7.64223 2.85672 6.51707  0.00
H: 7.01622 2.05843 1.40957  0.00
H: 6.85598 3.61077 1.72971  0.00
C: 4.17023 3.03713 -1.58355  0.00
C: 5.46932 2.19737 -1.78701  0.00
C: 6.75727 3.03321 -1.75260  0.00
O: 7.95327 2.36752 -2.12275  0.00
C: 7.99151 2.03960 -3.52486  0.00
N: 5.39757 1.15021 -0.72958  0.00
H: 3.29069 2.40550 -1.45886  0.00
H: 3.95218 3.53901 -2.52625  0.00
H: 4.12219 3.82953 -0.83663  0.00
H: 5.30157 1.74132 -2.76271  0.00
H: 6.91649 3.46495 -0.76449  0.00
H: 6.73014 3.94124 -2.35496  0.00
H: 8.93300 1.53506 -3.74198  0.00
H: 8.06820 2.96201 -4.10051  0.00
H: 7.14961 1.47478 -3.92522  0.00
H: 6.04863 0.38881 -0.85801  0.00
H: 5.56722 1.53936 0.18687  0.00
C: -0.03592 0.51975 -1.31489  0.00
C: -0.95142 -0.25901 -0.38926  0.00
C: -1.15373 0.56649 0.93899  0.00
O: 0.14261 0.60822 1.56739  0.00
C: 0.18335 1.37531 2.75660  0.00
N: -2.19969 -0.58566 -1.09349  0.00
H: 0.14937 -0.04792 -2.22676  0.00
H: 0.92359 0.77091 -0.86283  0.00
H: -0.48951 1.45110 -1.65392  0.00
H: -0.43852 -1.19464 -0.16652  0.00
H: -1.81572 0.04821 1.63272  0.00
H: -1.54666 1.56400 0.74235  0.00
H: 1.24317 1.41920 3.00749  0.00
H: -0.41948 0.91830 3.54136  0.00
H: -0.14757 2.39808 2.57624  0.00
H: -2.65025 0.30085 -1.27011  0.00
H: -2.10030 -1.09647 -1.95911  0.00
C: -2.22826 3.36574 -3.36898  0.00
C: -3.30980 4.40158 -3.90476  0.00
C: -3.25715 4.63756 -5.40490  0.00
O: -4.09921 5.65833 -5.85686  0.00
C: -3.99795 5.93712 -7.27297  0.00
N: -4.58655 3.93359 -3.51425  0.00
H: -1.26137 3.81559 -3.59448  0.00
H: -2.40261 2.37179 -3.78101  0.00
H: -2.22805 3.32114 -2.27989  0.00
H: -3.11350 5.39047 -3.49044  0.00
H: -3.58293 3.70541 -5.86650  0.00
H: -2.20615 4.85035 -5.60039  0.00
H: -2.97474 6.17000 -7.56778  0.00
H: -4.69288 6.72107 -7.57397  0.00
H: -4.32703 5.02178 -7.76487  0.00
H: -5.22838 4.59681 -3.92450  0.00
H: -4.70984 3.05248 -3.99231  0.00
C: -2.42119 -3.37473 7.22502  0.00
C: -2.52766 -2.14103 6.38579  0.00
C: -2.86551 -0.89834 7.20969  0.00
O: -3.16405 0.22312 6.34296  0.00
C: -3.25361 1.42165 7.05579  0.00
N: -1.31594 -1.92257 5.60475  0.00
H: -3.35572 -3.65435 7.71139  0.00
H: -1.69383 -3.16859 8.01024  0.00
H: -2.09251 -4.24045 6.65004  0.00
H: -3.37796 -2.24149 5.71126  0.00
H: -1.96334 -0.63628 7.76242  0.00
H: -3.70964 -1.03125 7.88636  0.00
H: -2.36880 1.65868 7.64657  0.00
H: -4.09922 1.43905 7.74334  0.00
........

How do i make a simple view-based NSOutlineView?

不羁的心 提交于 2019-12-20 12:27:41
问题 For learning purposes i would like to convert a cell-based NSOutlineView to a view-based one, basically i would like the following: instead of a normal cell, i'd like an 'image and text table cell view' the image can be the stock NSApplicationIcon and the text can just be 'hello world' :) I'd like to do this without using bindings and NSTreeController Here is the 'worlds simplest NSOutlineView' example http://www.cocoasteam.com/Cocoa_Steam/Worlds_Simplest_Demo.html I wonder if someone could

NSOutlineView spring loading exits over NSImageView but not NSButton

落爺英雄遲暮 提交于 2019-12-18 09:52:10
问题 I have an NSOutlineView subclass that implements the NSSpringLoadingDestination. The outline view is populated with NSTableCellViews. Each table cell view has an NSTextField and NSImageView. It looks just like the name column in the Finder window: icon and text. When I drag a row over the text field in another row everything works fine. When the cursor goes over the NSImageView, however, the spring loading exits. The outline view also loses the highlight for that row. If I replace the image

NSOutlineView spring loading exits over NSImageView but not NSButton

最后都变了- 提交于 2019-12-18 09:52:09
问题 I have an NSOutlineView subclass that implements the NSSpringLoadingDestination. The outline view is populated with NSTableCellViews. Each table cell view has an NSTextField and NSImageView. It looks just like the name column in the Finder window: icon and text. When I drag a row over the text field in another row everything works fine. When the cursor goes over the NSImageView, however, the spring loading exits. The outline view also loses the highlight for that row. If I replace the image

Subclassing NSOutlineView [closed]

┌──
The following is a DFT calculation (wB97M-V/def2-TZVPD) of CF2Li3O3V2 as an isolated structure.

Geometry as XYZ:
```
11
Properties=species:S:1:pos:R:3:forces:R:3:lowdin_charge:R:1
O 1.052286 0.332186 -0.429527 0.749 3.407 -1.432 -0.20
F 2.951643 -1.630277 -1.035309 -3.146 0.311 -2.003 -0.55
V 1.129450 -1.581545 -2.175945 2.846 -0.522 3.107 1.40
C -0.174002 -0.024488 -0.339613 0.376 -1.290 4.782 -0.91
Li 1.141298 2.547046 -1.357163 -0.270 -0.153 -0.632 0.92
O -0.448556 -1.200392 -0.616460 -0.450 -1.704 -3.518 -0.05
V -1.477789 1.070146 2.460959 -2.858 -2.909 -1.175 1.47
O -1.039178 0.528309 0.466160 0.178 2.204 0.083 -0.25
Li -2.490968 -0.860665 0.106087 -0.497 -0.322 0.975 0.84
F -3.034646 -0.522322 2.058121 2.552 2.271 -0.198 -0.56
Li 2.390462 1.342003 0.862691 0.520 -1.294 0.009 0.90
```
Forces are in eV/Å.

Properties
total charge	+3
energy	-64576.739	eV
gap between HOMO and LUMO (spin up / spin down)	7.378 / 7.894	eV
M	220.72	g mol⁻¹
spin multiplicity	7
highest occupied orbital energy (spin up / spin down)	-20.2 / -20.7	eV

~~~~~

Density functional theory data (ωB97M-V/def2-TZVPD) for a structure of composition C36H39BaClF3N11O5S3 at a distorted geometry.

Summary:
Charge   -2
Relative energy (zero: lowest compared OMol25 entry of this formula, charge and spin)   0.000 eV
HOMO   -0.0372 Ha

Last column: Löwdin charge in e.
Geometry (Å):
Ba1 -2.35 1.85 -1.36  1.80
Cl1 -3.67 2.10 4.14  0.40
S1 -4.08 0.02 -3.92  0.56
S2 3.13 -1.62 -2.09  0.40
S3 3.31 -0.09 -4.68  0.50
F1 -6.17 5.28 -1.35  0.06
F2 -5.28 5.67 0.66  0.14
F3 -4.36 6.62 -1.08  0.16
O1 -2.79 1.00 1.10  -0.25
O2 -4.63 3.19 -1.46  -0.22
O3 0.79 -0.18 4.01  0.06
O4 -0.93 2.27 1.52  -0.08
O5 -2.98 4.30 -0.38  -0.14
N1 -1.94 -1.61 -1.47  0.10
N2 2.96 -0.90 3.81  0.13
N3 1.58 -4.52 -3.28  0.09
N4 -3.86 -2.54 -2.47  0.02
N5 -5.88 -1.90 -3.17  -0.15
N6 0.50 3.46 -1.20  -0.11
N7 -1.34 4.21 -3.23  -0.13
N8 -0.14 1.55 -3.61  -0.12
N9 3.11 2.07 1.65  0.09
N10 1.39 -2.14 5.06  0.12
N11 3.26 -2.61 -7.06  0.06
C1 2.27 -3.00 5.77  -0.24
C2 -5.99 -3.15 -2.64  -0.10
C3 -4.95 5.50 -0.65  -0.49
C4 2.63 1.04 2.36  -0.06
C5 -0.72 5.29 -2.47  -0.22
C6 5.10 2.03 2.96  -0.10
C7 -0.63 3.86 -4.50  -0.22
C8 4.24 2.64 2.02  -0.15
C9 1.21 1.86 -3.08  -0.23
C10 3.20 -3.76 5.03  -0.03
C11 -4.78 -3.58 -2.31  -0.06
C12 -4.15 4.25 -0.86  -0.59
C13 4.75 -5.84 7.77  -0.06
C14 2.87 -4.15 7.77  -0.08
C15 2.11 -3.69 -3.92  -0.27
C16 3.48 0.30 3.20  -0.17
C17 -2.54 -2.62 -2.11  -0.33
C18 -6.96 -1.10 -3.78  -0.06
C19 -1.96 1.61 1.84  -0.79
C20 -0.64 2.32 -4.76  -0.23
C21 -0.58 -3.93 -2.02  -0.10
C22 2.07 -3.25 7.14  -0.03
C23 1.68 -0.99 4.27  -0.48
C24 3.89 -4.78 7.08  -0.28
C25 -1.81 -3.74 -2.54  -0.02
C26 3.04 -2.66 -5.89  -0.37
C27 -2.04 1.62 3.32  -0.44
C28 0.06 -2.93 -1.28  -0.08
C29 3.06 -1.44 -3.79  -1.34
C30 0.63 4.74 -1.88  -0.20
C31 4.73 0.86 3.57  -0.04
C32 1.30 2.37 -1.58  -0.26
C33 -0.67 -1.81 -0.97  -0.12
C34 4.05 -4.60 5.69  -0.05
C35 2.80 -2.65 -4.54  -0.47
C36 -4.57 -1.41 -3.16  -0.63
└──

柔情痞子 提交于 2019-12-13 11:30:26
问题 Closed. This question is off-topic. It is not currently accepting answers. Want to improve this question? Update the question so it's on-topic for Stack Overflow. Closed 5 years ago . How would you Subclass an NSOutlineView? 回答1: Firstly, before you subclass an object, you should ask yourself "do I need to do this?". Subclassing is a more complex way of interacting and extending the functionality of other classes, so you should make sure that what you are trying to achieve cannot easily be

NSOutlineView and Core Data 1 → Many Relationships

 ̄綄美尐妖づ 提交于 2019-12-13 05:35:17
问题 I have a Core Data model that supports a 1 → Many relationship (1 Folder to many Phrases). At the moment I'm just displaying the Phrases on a flat NSTableView using Core Data Bindings to a NSArrayController to glue everything together - this is working happily. I'm trying to experiment with an NSOutlineView to achieve the same result but showing the folders as well. I've tried a similar binding structure that I'm already using with the NSTableView but I'm not making any headway. What steps

Is it possible to bind an NSTreeController to an NSOutlineViewDataSource?

試著忘記壹切 提交于 2019-12-13 04:09:22
问题 I have some hierarchical data model that I'd like to present in an NSOutlineView. I'm binding a tree controller to the outline view to provide data and to handle selection and binding to other views. However, I only want to show only part of the data in my model to the outline view. (Each object in my hierarchy has an array of child objects, but I'd only like some of these child objects to appear as child nodes of the node in the tree.) I wish I could just attach a filter predicate to the